File =
____________
1.
# BaHoAs PBE-GGA relaxed
data_BaHoAs
_chemical_formula_sum 'Ba2 Ho2 As2'
_cell_length_a 5.625
_cell_length_b 5.625
_cell_length_c 6.713
_cell_angle_alpha 90.00
_cell_angle_beta 90.00
_cell_angle_gamma 90.00
_space_group_name_H-M_alt 'P 1'
_space_group_IT_number 1
_space_group_name_Hall 'P 1'
loop_
_atom_site_label
_atom_site_type_symbol
_atom_site_fract_x
_atom_site_fract_y
_atom_site_fract_z
_atom_site_occupancy
As1 As 0.500 0.000 0.072 1
Ba1 Ba 0.500 0.000 0.562 1
As2 As 0.000 0.500 0.928 1
Ho1 Ho 0.000 0.000 0.000 1
Ho2 Ho 0.500 0.500 0.000 1
Ba2 Ba 0.000 0.500 0.438 1
# * energy relative to the elements: -0.8186 eV per atom
# * mass density: 5.90 g/cm3
# * raw total energy: -27.21 eV for the cell shown

---

2.
# BaHoAs2O8 PBE-GGA relaxed
data_BaHoAs2O8
_chemical_formula_sum 'Ba1 Ho1 As2 O8'
_cell_length_a 5.693
_cell_length_b 5.693
_cell_length_c 7.741
_cell_angle_alpha 90.00
_cell_angle_beta 90.00
_cell_angle_gamma 120.00
_space_group_name_H-M_alt 'P 1'
_space_group_IT_number 1
_space_group_name_Hall 'P 1'
loop_
_atom_site_label
_atom_site_type_symbol
_atom_site_fract_x
_atom_site_fract_y
_atom_site_fract_z
_atom_site_occupancy
O1 O 0.837 0.663 0.308 1
O2 O 0.667 0.333 0.017 1
O3 O 0.337 0.174 0.308 1
O4 O 0.826 0.163 0.308 1
Ho1 Ho 0.000 0.000 0.500 1
As1 As 0.667 0.333 0.240 1
O5 O 0.663 0.826 0.692 1
Ba1 Ba 0.000 0.000 0.000 1
O6 O 0.174 0.837 0.692 1
As2 As 0.333 0.667 0.760 1
O7 O 0.163 0.337 0.692 1
O8 O 0.333 0.667 0.983 1
# * formation energy from raw total energies: -2009 meV/atom
# * mass density: 4.43 g/cm3
# * raw total energy: -79.57 eV for the cell shown


1.
{
  "formula": "NbRu3F",
  "functional": "GGA-PBE",
  "state": "optimized geometry",
  "cell": [[4.776, 0.000, 0.000], [0.000, 4.776, 0.000], [0.000, 0.000, 4.776]],
  "species": ["Nb", "Ru", "Ru", "Ru", "F"],
  "fractional_positions": [[0.000, 0.000, 0.000], [0.000, 0.000, 0.500], [0.000, 0.500, 0.000], [0.500, 0.000, 0.000], [0.500, 0.500, 0.500]],
  "magnetic_moment_mub_per_fu": 4.5,
  "raw_formation_energy_ev_per_atom": 1.6122,
  "sg": "Pm-3m, No. 221",
  "de_polymorph_mev_per_atom": 968.6
}

=====

2.
{
  "formula": "NbRuF2",
  "functional": "GGA-PBE",
  "state": "optimized geometry",
  "cell": [[0.000, 2.944, 2.944], [2.944, 0.000, 2.944], [2.944, 2.944, 0.000]],
  "species": ["Nb", "Ru", "F", "F"],
  "fractional_positions": [[0.000, 0.000, 0.000], [0.500, 0.500, 0.500], [0.250, 0.250, 0.250], [0.750, 0.750, 0.750]],
  "magnetic_moment_mub_per_fu": 0.0,
  "raw_formation_energy_ev_per_atom": -0.0731,
  "sg": "Fm-3m, No. 225",
  "de_polymorph_mev_per_atom": 901.7
}

=====

3.
{
  "formula": "NbRuF2",
  "functional": "GGA-PBE",
  "state": "optimized geometry",
  "cell": [[1.383, 0.798, 9.815], [-1.383, 0.798, 9.815], [0.000, -1.597, 9.815]],
  "species": ["Nb", "Ru", "F", "F"],
  "fractional_positions": [[0.000, 0.000, 0.000], [0.500, 0.500, 0.500], [0.385, 0.385, 0.385], [0.615, 0.615, 0.615]],
  "magnetic_moment_mub_per_fu": 2.0,
  "raw_formation_energy_ev_per_atom": -0.9748,
  "sg": "R-3m, No. 166",
  "de_polymorph_mev_per_atom": 0.0
}

=====

4.
{
  "formula": "TiNbRu2F",
  "functional": "GGA-PBE",
  "state": "optimized geometry",
  "cell": [[4.724, 0.000, 0.000], [0.000, 4.724, 0.000], [0.000, 0.000, 3.655]],
  "species": ["Ti", "Nb", "Ru", "Ru", "F"],
  "fractional_positions": [[0.000, 0.000, 0.000], [0.500, 0.500, 0.500], [0.000, 0.500, 0.000], [0.500, 0.000, 0.000], [0.000, 0.000, 0.500]],
  "magnetic_moment_mub_per_fu": 0.0,
  "raw_formation_energy_ev_per_atom": -0.0208,
  "sg": "P4/mmm, No. 123"
}

=====

5.
{
  "formula": "YNbRuF2",
  "functional": "GGA-PBE",
  "state": "optimized geometry",
  "cell": [[4.173, 0.000, 0.000], [0.000, 4.173, 0.000], [0.000, 0.000, 5.105]],
  "species": ["Y", "Nb", "Ru", "F", "F"],
  "fractional_positions": [[0.000, 0.000, 0.000], [0.500, 0.500, 0.500], [0.500, 0.500, 0.000], [0.000, 0.500, 0.500], [0.500, 0.000, 0.500]],
  "magnetic_moment_mub_per_fu": 0.0,
  "raw_formation_energy_ev_per_atom": -1.1585,
____________

Work order =
Your job: search the entries earlier on for the word "O4" and give back each line that has it.

Completed =
O4 O 0.826 0.163 0.308 1